Print the whole of the block further down word for word.

- - -
(1)
The following is a PBE calculation of a relaxed structure of Y3Mg3CdCuIr, from OQMD.

total magnetic moment = 0.06 Bohr magnetons per cell
symmetry = No. 174
VASP energy = -4.584 eV/atom

```
Y3Mg3CdCuIr
1.0
-5.330 4.406 -3.350
-2.126 -5.766 4.613
0.078 2.435 3.079
Y Mg Cu Cd Ir
3 3 1 1 1
direct
0.367 0.274 0.500
0.907 0.633 0.500
0.726 0.093 0.500
0.091 0.424 0.000
0.576 0.667 0.000
0.333 0.909 0.000
0.333 0.667 0.500
0.000 0.000 0.000
0.667 0.333 0.000
```

---

(2)
The following is a PBE calculation of a relaxed structure of LuReAu, from OQMD.

relative energy among the computed polymorphs = 429 meV per atom
total magnetic moment = 2.20 Bohr magnetons per cell
symmetry = No. 216
formation enthalpy at 0 K = 1.02 eV per atom

```
LuReAu
1.0
1.917 0.071 4.165
-1.871 -2.404 3.427
2.124 -3.731 1.610
Lu Re Au
1 1 1
direct
0.000 0.000 0.000
0.750 0.750 0.750
0.250 0.250 0.250
```


Entry from Alexandria via LeMat-Bulk: crystalline PmInSbAu at its relaxed geometry (PBE).

Properties
**E**: -16.7 eV per formula unit
**Uncorrected formation energy**: -0.445 eV per atom
**Crystal system**: cubic

a = 7.4688 Å, b = 7.4688 Å, c = 7.4688 Å
α = 90.00°, β = 90.00°, γ = 90.00°
Fractional positions:
Pm1 0.0000 0.0000 0.0000
Pm2 0.0000 0.5000 0.5000
Pm3 0.5000 0.0000 0.5000
Pm4 0.5000 0.5000 0.0000
In1 0.0000 0.0000 0.5000
In2 0.0000 0.5000 0.0000
In3 0.5000 0.0000 0.0000
In4 0.5000 0.5000 0.5000
Sb1 0.2500 0.2500 0.2500
Sb2 0.2500 0.7500 0.7500
Sb3 0.7500 0.2500 0.7500
Sb4 0.7500 0.7500 0.2500
Au1 0.2500 0.2500 0.7500
Au2 0.2500 0.7500 0.2500
Au3 0.7500 0.2500 0.2500
Au4 0.7500 0.7500 0.7500


A geometry-optimized ZrTaInCu structure, computed with PBE.

The value obtained for the total energy is -25.28 eV per formula unit. As for the energy above the most stable polymorph in this dataset: 0.000 eV/f.u.

The space group is F-43m (No. 216) and the conventional cell measures 6.788, 6.788 and 6.788 Å, with angles of 90.00, 90.00 and 90.00 degrees. The inequivalent atoms are Zr at (0.000, 0.000, 0.000), Ta at (0.250, 0.250, 0.250), In at (0.000, 0.000, 0.500) and Cu at (0.250, 0.250, 0.750).

A geometry-optimized TbInCu3Te4 structure, computed with PBE.

The value obtained for the total energy is -33.24 eV per formula unit. As for the energy above the most stable polymorph in this dataset: 0.693 eV/f.u.

The space group is P-43m (No. 215) and the conventional cell measures 6.544, 6.544 and 6.544 Å, with angles of 90.00, 90.00 and 90.00 degrees. The inequivalent atoms are Tb at (0.000, 0.000, 0.000), In at (0.500, 0.500, 0.500), Cu at (0.000, 0.000, 0.500) and Te at (0.248, 0.248, 0.752).

A geometry-optimized TbInCu3Te4 structure, computed with PBE.

The value obtained for the total energy is -33.93 eV per formula unit. As for the energy above the most stable polymorph in this dataset: 0.000 eV/f.u.

The space group is P2_1/m (No. 11) and the conventional cell measures 6.289, 8.064 and 10.375 Å, with angles of 90.00, 101.88 and 90.00 degrees. The inequivalent atoms are Tb at (0.145, 0.250, 0.265), In at (0.252, 0.250, 0.895), Cu at (0.298, 0.527, 0.499), Cu at (0.326, 0.750, 0.688), Te at (0.014, 0.250, 0.527), Te at (0.255, 0.750, 0.930) and Te at (0.442, 0.531, 0.277).

A geometry-optimized TbY2In3Cu3 structure, computed with PBE.

The value obtained for the total energy is -40.76 eV per formula unit.

The space group is Amm2 (No. 38) and the conventional cell measures 3.865, 13.056 and 7.549 Å, with angles of 90.00, 90.00 and 90.00 degrees. The inequivalent atoms are Tb at (0.000, 0.000, 0.000), Y at (0.000, 0.205, 0.615), In at (0.500, 0.000, 0.666), In at (0.500, 0.128, 0.282), Cu at (0.000, 0.000, 0.410) and Cu at (0.500, 0.167, 0.910).


# Ca2ZnH6Ir GGA-PBE relaxed
data_Ca2ZnH6Ir
_chemical_formula_sum 'Ca4 Zn2 H12 Ir2'
_space_group_name_H-M_alt 'P 1'
_space_group_IT_number 1
_cell_length_a 5.2102
_cell_length_b 5.2102
_cell_length_c 9.9596
_cell_angle_alpha 74.84
_cell_angle_beta 74.84
_cell_angle_gamma 60.00
loop_
- - -

(1)
The following is a PBE calculation of a relaxed structure of Y3Mg3CdCuIr, from OQMD.

total magnetic moment = 0.06 Bohr magnetons per cell
symmetry = No. 174
VASP energy = -4.584 eV/atom

```
Y3Mg3CdCuIr
1.0
-5.330 4.406 -3.350
-2.126 -5.766 4.613
0.078 2.435 3.079
Y Mg Cu Cd Ir
3 3 1 1 1
direct
0.367 0.274 0.500
0.907 0.633 0.500
0.726 0.093 0.500
0.091 0.424 0.000
0.576 0.667 0.000
0.333 0.909 0.000
0.333 0.667 0.500
0.000 0.000 0.000
0.667 0.333 0.000
```

---

(2)
The following is a PBE calculation of a relaxed structure of LuReAu, from OQMD.

relative energy among the computed polymorphs = 429 meV per atom
total magnetic moment = 2.20 Bohr magnetons per cell
symmetry = No. 216
formation enthalpy at 0 K = 1.02 eV per atom

```
LuReAu
1.0
1.917 0.071 4.165
-1.871 -2.404 3.427
2.124 -3.731 1.610
Lu Re Au
1 1 1
direct
0.000 0.000 0.000
0.750 0.750 0.750
0.250 0.250 0.250
```


Entry from Alexandria via LeMat-Bulk: crystalline PmInSbAu at its relaxed geometry (PBE).

Properties
**E**: -16.7 eV per formula unit
**Uncorrected formation energy**: -0.445 eV per atom
**Crystal system**: cubic

a = 7.4688 Å, b = 7.4688 Å, c = 7.4688 Å
α = 90.00°, β = 90.00°, γ = 90.00°
Fractional positions:
Pm1 0.0000 0.0000 0.0000
Pm2 0.0000 0.5000 0.5000
Pm3 0.5000 0.0000 0.5000
Pm4 0.5000 0.5000 0.0000
In1 0.0000 0.0000 0.5000
In2 0.0000 0.5000 0.0000
In3 0.5000 0.0000 0.0000
In4 0.5000 0.5000 0.5000
Sb1 0.2500 0.2500 0.2500
Sb2 0.2500 0.7500 0.7500
Sb3 0.7500 0.2500 0.7500
Sb4 0.7500 0.7500 0.2500
Au1 0.2500 0.2500 0.7500
Au2 0.2500 0.7500 0.2500
Au3 0.7500 0.2500 0.2500
Au4 0.7500 0.7500 0.7500


A geometry-optimized ZrTaInCu structure, computed with PBE.

The value obtained for the total energy is -25.28 eV per formula unit. As for the energy above the most stable polymorph in this dataset: 0.000 eV/f.u.

The space group is F-43m (No. 216) and the conventional cell measures 6.788, 6.788 and 6.788 Å, with angles of 90.00, 90.00 and 90.00 degrees. The inequivalent atoms are Zr at (0.000, 0.000, 0.000), Ta at (0.250, 0.250, 0.250), In at (0.000, 0.000, 0.500) and Cu at (0.250, 0.250, 0.750).

A geometry-optimized TbInCu3Te4 structure, computed with PBE.

The value obtained for the total energy is -33.24 eV per formula unit. As for the energy above the most stable polymorph in this dataset: 0.693 eV/f.u.

The space group is P-43m (No. 215) and the conventional cell measures 6.544, 6.544 and 6.544 Å, with angles of 90.00, 90.00 and 90.00 degrees. The inequivalent atoms are Tb at (0.000, 0.000, 0.000), In at (0.500, 0.500, 0.500), Cu at (0.000, 0.000, 0.500) and Te at (0.248, 0.248, 0.752).

A geometry-optimized TbInCu3Te4 structure, computed with PBE.

The value obtained for the total energy is -33.93 eV per formula unit. As for the energy above the most stable polymorph in this dataset: 0.000 eV/f.u.

The space group is P2_1/m (No. 11) and the conventional cell measures 6.289, 8.064 and 10.375 Å, with angles of 90.00, 101.88 and 90.00 degrees. The inequivalent atoms are Tb at (0.145, 0.250, 0.265), In at (0.252, 0.250, 0.895), Cu at (0.298, 0.527, 0.499), Cu at (0.326, 0.750, 0.688), Te at (0.014, 0.250, 0.527), Te at (0.255, 0.750, 0.930) and Te at (0.442, 0.531, 0.277).

A geometry-optimized TbY2In3Cu3 structure, computed with PBE.

The value obtained for the total energy is -40.76 eV per formula unit.

The space group is Amm2 (No. 38) and the conventional cell measures 3.865, 13.056 and 7.549 Å, with angles of 90.00, 90.00 and 90.00 degrees. The inequivalent atoms are Tb at (0.000, 0.000, 0.000), Y at (0.000, 0.205, 0.615), In at (0.500, 0.000, 0.666), In at (0.500, 0.128, 0.282), Cu at (0.000, 0.000, 0.410) and Cu at (0.500, 0.167, 0.910).


# Ca2ZnH6Ir GGA-PBE relaxed
data_Ca2ZnH6Ir
_chemical_formula_sum 'Ca4 Zn2 H12 Ir2'
_space_group_name_H-M_alt 'P 1'
_space_group_IT_number 1
_cell_length_a 5.2102
_cell_length_b 5.2102
_cell_length_c 9.9596
_cell_angle_alpha 74.84
_cell_angle_beta 74.84
_cell_angle_gamma 60.00
loop_